Although we have long cherished the peace symbol, we knew nothing about its origins beyond its ubiquity in the 1960s and '70s. We owe our newfound appreciation for the symbol's history to Michael G. Long — who in addition to this book has written for all ages on civil rights and peacemaking in mid-century America — and Carlos Vélez, whose illustrations add immeasurably to the tale.

-- Here the page breaks off for crystal structures --
........
# Sm12TmAl4O3
Simulated powder X-ray diffraction pattern, CuKα. Input: a PBE-relaxed structure.
Lines closer than 0.1° are merged.

Structural model:
Cell: 8.732 8.732 8.732 Å, 109.47 109.47 109.47°
Positions (direct):
Sm  0.000  0.274  0.274
Sm  0.000  0.726  0.726
Sm  0.250  0.500  0.750
Sm  0.250  0.750  0.500
Sm  0.274  0.000  0.274
Sm  0.274  0.274  0.000
Sm  0.500  0.250  0.750
Sm  0.500  0.750  0.250
Sm  0.726  0.000  0.726
Sm  0.726  0.726  0.000
Sm  0.750  0.250  0.500
Sm  0.750  0.500  0.250
Tm  0.000  0.000  0.000
Al  0.000  0.000  0.500
Al  0.000  0.500  0.000
Al  0.500  0.000  0.000
Al  0.500  0.500  0.500
O  0.000  0.500  0.500
O  0.500  0.000  0.500
O  0.500  0.500  0.000

Largest 10 diffraction maxima, sorted by position, 2θ = 10–90°:
2theta	I/Imax
17.59	56
30.72	100
35.62	80
39.99	24
51.25	54
54.61	12
60.95	38
63.97	17
83.60	14
86.29	21


Record 1
Er6HgPt: calculated powder diffraction line list (Cu Kα (weighted mean of Kα1 and Kα2)), based on a DFT-relaxed cell (PBE, Alexandria).

Atomic structure:
Cell: 6.9168 6.9229 7.2592 Å, 90.18 118.26 119.85°
Space group P-1 (No. 2)
Symmetry-distinct sites (fractional):
Er 0.0269 0.0728 0.2535
Er 0.2980 0.7258 0.2528
Er 0.3167 0.5438 0.7469
Hg 0.5000 0.0000 0.0000
Pt 0.5000 0.5000 0.5000

Peak list (12 most intense, 2θ = 10–90°, in order of falling intensity)
| 2θ (°) | I (rel.) | (hkl) |
| --- | --- | --- |
| 29.68 | 100 | 2 -1 0 |
| 24.54 | 33 | 1 0 -2 |
| 39.41 | 32 | 1 1 1 |
| 39.53 | 30 | -2 1 3 |
| 45.33 | 29 | 3 0 -2 |
| 17.71 | 27 | -1 1 1 |
| 31.41 | 24 | 2 0 -2 |
| 29.78 | 19 | -2 1 2 |
| 45.44 | 15 | -3 3 1 |
| 52.42 | 14 | -1 2 3 |
| 52.27 | 12 | 2 -1 2 |
| 40.98 | 11 | 2 1 -1 |


Record 2
SmPd5Au2: calculated powder diffraction line list (Cu Kα (weighted mean of Kα1 and Kα2)), based on a DFT-relaxed cell (PBE, Alexandria).

Atomic structure:
Cell: 4.1584 4.1584 16.1452 Å, 90.00 90.00 90.00°
Space group I4/mmm (No. 139)
Symmetry-distinct sites (fractional):
Sm 0.0000 0.0000 0.0000
Pd 0.0000 0.0000 0.5000
Pd 0.0000 0.5000 0.1282
Au 0.0000 0.0000 0.2515

Peak list (12 most intense, 2θ = 10–90°, in order of falling intensity)
| 2θ (°) | I (rel.) | (hkl) |
| --- | --- | --- |
| 37.86 | 100 | 1 1 4 |
| 43.53 | 34 | 2 0 0 |
| 76.13 | 26 | 3 1 4 |
| 64.33 | 21 | 2 0 8 |
| 44.91 | 16 | 0 0 8 |
| 78.12 | 12 | 1 1 12 |
| 63.25 | 11 | 2 2 0 |
| 80.89 | 11 | 2 2 8 |
| 10.96 | 8 | 0 0 2 |
| 22.03 | 4 | 0 0 4 |
| 30.40 | 4 | 1 1 0 |
| 49.30 | 2 | 2 0 4 |


Record 3
CsBaInCl6: calculated powder diffraction line list (Cu Kα (weighted mean of Kα1 and Kα2)), based on a DFT-relaxed cell (PBE, Alexandria).

Atomic structure:
Cell: 7.5962 7.5962 14.3175 Å, 90.00 90.00 120.00°
Space group P-31c (No. 163)
Symmetry-distinct sites (fractional):
Cs 0.0000 0.0000 0.0000
Ba 0.3333 0.6667 0.2500
In 0.3333 0.6667 0.7500
Cl 0.0522 0.3990 0.6455

Peak list (12 most intense, 2θ = 10–90°, in order of falling intensity)
| 2θ (°) | I (rel.) | (hkl) |
| --- | --- | --- |
| 18.32 | 100 | 1 0 2 |
........
-- So much for the crystal structures --

Three Lines in a Circle begins in 1958 at the drafting table of Gerry Holtom, a graphic-design artist and conscientious objector. Wanting to put his wish for nuclear disarmament into a bold and easily recognized design, he chose "three lines in a circle" based on the flag-semaphore alphabet. Flags held to the side, angled toward the earth, represent the letter "N"; and standing erect with one flag lifted and another lowered represents the letter "D"; the two together symbolize Nuclear Disarmament.

Holtom's inspiration for the circle portion of his symbol came from Francisco Goya's painting "The Third of May 1808," a copy of which the illustrator includes in his first picture of Holtom's drafting table. Other intriguing art and objects on the table, like Tolstoy's War and Peace and a globe, add depth to the book. The text — for three to seven year olds — remains simple: "Gerry hovered over his drafting table and began to draw his dream."

This symbol of Gerry's dream — a world free from bombs — begins to energize people around him who share his vision. One colleague mocks him, saying, "It doesn't mean a thing, and it will never catch on." In an encouragement to children everywhere who dream big, the book quips, "Wow — was he ever wrong!"

It's a joy to see, page by page, how many places around the world and how many different movements this symbol came to influence, as it took on broader meanings of peace and acceptance. Not only Ban the Bomb, but also peace "for Black people and Brown people / women and poor people / LGBTQ+ people and people with disabilities," ending gun violence, stopping climate change, and more. The bright, colorful, detailed illustrations give us a sense of the great swelling of desire to create a livable, loving world.

The book concludes with a short history of the peace symbol, two pages that give more context for older readers. The final touch is a partial time line of peaceful protests since 1958, which includes events like the 1984 sit-ins against apartheid in Washington, DC and the 2003 Freedom Rides for immigrant workers. All in all, this book inspires a desire to act joyfully on behalf of our best dreams, just as Gerry Holtom did when creating a peace symbol that caught on around the world.